An Inside Look at the Disney Imagination Campus 50 Teachers Celebration

Jun 15, 2022

This past Memorial Day weekend, Disney invited 50 inspiring teachers to come to Walt Disney World Resort for a four-day celebration of their important work with our nation’s students.

Chosen from thousands of teachers who submitted essays, the 50 selected wield imagination expertly in their classroom — whether it’s creating an outer space escape room, or setting up a classroom Shark Tank, or connecting students directly to local businesses.

In order to help spread the word of these amazing teachers, Disney invited Teach & Travel to be a fly on the wall for this celebration.

While the teachers and their families had four days at Disney World, Friday was their special day in the spotlight. The celebration began by walking into a completely empty Magic Kingdom. There’s something truly special about walking down a quiet Main Street, U.S.A., early in the morning, the only ones there to take it all in.

Then we jumped right into breakfast, where I started meeting inspiring teachers as the regular parkgoers poured into Magic Kingdom. Despite each of the teachers expressing some amount of imposter syndrome at being there, it was clear they’re all passionate, talented and worthy of being celebrated.

Emily from Ohio has high school students create their own businesses that solve a problem in their life. Then they’re introduced to local entrepreneurs and paired with a mentor in their area of interest. Many of these students are now directly part of the local business community.

Similarly, Shannon from Texas has her middle school students use a 3D printer to create a product that they pitch to a panel of teachers playing the role of investors, using lots of math and engineering along the way.

Meanwhile, Nate from California focuses on teaching reality vs. misinformation online, and has his middle-school students create fake ghost videos. Then, Beatrice from Louisiana believes that science is citizenship, and working together as a team is key. She’s actually a “hardcore Disney fan,” to the extent she got married in Disney!

Next, the teachers split up into groups and dove into one of Disney Imagination Campus’s new workshops, creating a theme park! The teachers were essentially treated like students, and they were happy to play the part, inventing parks themed around the four elements, the seasons, different climates, food groups, and more. They were forced to think about not just rides, but transportation, shops, food options, performances, etc. After a quick walk around the park to see how Disney does some of these things, they use blocks to create a table-top model for their parks.

If I was a student, I’d be eating this workshop up. It’s creativity, collaboration, and constructive critique all at once!

Next, it was time for what many teachers told me was the highlight of their experience: The parade. The 50 teachers led the Festival of Fantasy Parade, walking through Magic Kingdom as parkgoers cheered them on, thanked them for being teachers, and encouraged them as they passed. Many happy tears were shed as these educators felt the appreciation they don’t always get at home — not to mention the fact many of these teachers are lifelong Disney fans and never imagined actually marching in a parade on Main Street, U.S.A.

We then headed into the air conditioning for an afternoon of inspiring sessions with Disney executives and a Broadway performer. I won’t detail everything said there, but these executives talked about how important teachers have been to each of their respective careers, and how they’ve learned to be great leaders using inclusion, collaboration, imagination, and mentorship. It was both inspiring and informative!

My personal favorite part of the day was the theater workshop, where I got to see 50 teachers learn the choreography, lines and music for a scene from the Broadway musical version of Frozen. The professionalism on display in this workshop was incredible — it was clear the instructor has done this a million times before, and still loves every second of it.

From understanding and embodying a character to properly stretching and warming up, to trying out line deliveries and exploring physicality, the workshop had it all, and this wasn’t even the full version students would experience. It was pure fun, and I can see it opening the doors to the world of theater for any student who participates.

The rest of the day was celebrating the teachers, from a Broadway performance to a huge meal altogether (families included), and the magical fireworks/lights/music show Harmonious. The night ended with the teachers and their families being some of the very first people ever to ride the new Guardians of the Galaxy: Cosmic Rewind.

In my time with the teachers, they talked about how great it was to be around so many other great educators from around the country. They shared ideas and asked constant questions of one another, eager to get everything they could out of the experience. Any gathering of 50 passionate teachers would be a sight to behold, and the fact it happened at Disney World made it even more magical.

'''
1.
Starting from a DFT-relaxed cell (GGA-PBE, Alexandria), the powder X-ray diffraction pattern of Sr2CaTl2Pb4 was calculated for Cu Kα.

Largest 10 diffraction maxima, sorted by position, 2θ = 10–90°:
2theta  I/Imax  index
14.44  14.9  1 0 1
16.60  31.3  0 0 2
28.81  90.5  0 2 2
29.11  88.3  2 0 2
33.56  100.0  0 0 4
43.98  19.3  2 3 1
44.27  22.1  3 0 3
48.18  38.8  2 2 4
57.01  25.2  0 2 6
57.52  15.9  4 2 2

Crystal structure
abc: 7.4877 7.6040 10.6983
angles: 90.00 90.00 90.00
Space group Immm (No. 71)
Asymmetric unit:
Sr (0.0000, 0.0000, 0.2481) [4 per cell]
Ca (0.0000, 0.5000, 0.5000) [2 per cell]
Tl (0.0000, 0.5000, 0.2168) [4 per cell]
Pb (0.2136, 0.2867, 0.0000) [8 per cell]


2.
Starting from a DFT-relaxed cell (GGA-PBE, Alexandria), the powder X-ray diffraction pattern of CaTe5Pb4 was calculated for Cu Kα.

Largest 10 diffraction maxima, sorted by position, 2θ = 10–90°:
2theta  I/Imax  index
27.32  100.0  1 0 5
39.00  65.2  1 2 5
39.09  13.0  2 0 0
48.22  14.2  0 2 10
48.35  14.2  2 2 0
56.37  13.4  0 4 0
63.75  24.8  1 4 5
63.85  6.2  3 0 5
70.59  13.7  0 4 10
70.77  13.8  3 2 5

Crystal structure
abc: 4.6084 6.5272 23.1338
angles: 90.00 90.00 90.00
Space group Immm (No. 71)
Asymmetric unit:
Ca (0.0000, 0.0000, 0.0000) [2 per cell]
Te (0.0000, 0.5000, 0.0000) [2 per cell]
Te (0.0000, 0.5000, 0.2006) [4 per cell]
Te (0.0000, 0.5000, 0.4031) [4 per cell]
Pb (0.0000, 0.0000, 0.1992) [4 per cell]
Pb (0.0000, 0.0000, 0.4003) [4 per cell]


3.
Starting from a DFT-relaxed cell (GGA-PBE, Alexandria), the powder X-ray diffraction pattern of CaTe3Pb2 was calculated for Cu Kα.

Largest 10 diffraction maxima, sorted by position, 2θ = 10–90°:
2theta  I/Imax  index
15.05  8.7  0 1 1
27.39  100.0  0 2 0
39.01  13.0  0 0 6
39.14  64.8  2 0 0
48.34  14.1  0 2 6
48.49  14.1  2 2 0
56.48  8.8  2 0 6
63.96  30.5  3 0 3
70.75  8.9  1 2 9
70.94  13.5  3 2 3

Crystal structure
abc: 4.5983 6.5051 13.8528
angles: 90.00 90.00 90.00
Space group Immm (No. 71)
Asymmetric unit:
Ca (0.0000, 0.0000, 0.0000) [2 per cell]
Te (0.0000, 0.5000, 0.0000) [2 per cell]
Te (0.0000, 0.5000, 0.3382) [4 per cell]
Pb (0.0000, 0.0000, 0.3328) [4 per cell]


4.
Starting from a DFT-relaxed cell (GGA-PBE, Alexandria), the powder X-ray diffraction pattern of Ca2TePb was calculated for Cu Kα.

Largest 10 diffraction maxima, sorted by position, 2θ = 10–90°:
2theta  I/Imax  index
20.91  37.6  1 0 -1
25.13  44.4  0 1 1
25.38  21.7  1 0 1
27.89  51.0  0 0 2
28.09  100.0  1 1 0
37.19  47.4  1 1 -2
37.70  22.8  2 0 0
42.53  32.4  0 2 0
42.66  32.2  1 1 2
51.59  18.7  0 2 2

Crystal structure
abc: 4.8676 4.2554 6.5258
angles: 90.00 101.34 90.00
Space group P2/m (No. 10)
Asymmetric unit:
Ca (0.0000, 0.0000, 0.0000) [1 per cell]
Ca (0.5000, 0.5000, 0.5000) [1 per cell]
Te (0.0000, 0.0000, 0.5000) [1 per cell]
Pb (0.5000, 0.5000, 0.0000) [1 per cell]


5.
Starting from a DFT-relaxed cell (GGA-PBE, Alexandria), the powder X-ray diffraction pattern of Ca5Te6Pb was calculated for Cu Kα.
'''

Keep an eye on in the coming weeks for more in-depth profiles of select teachers from the celebration.